### Given
~~~
FePO4 | the Materials Project database | GGA+U | optimized geometry; SG = Cmcm; ΔE_f = -2.308 eV per atom
1.0
-2.637 -3.963 0.000
-2.637 3.963 0.000
0.000 0.000 -6.450
O P Fe
8 2 2
direct
0.240 0.760 0.447 O
0.780 0.706 0.750 O
0.760 0.240 0.553 O
0.240 0.760 0.053 O
0.294 0.220 0.750 O
0.706 0.780 0.250 O
0.760 0.240 0.947 O
0.220 0.294 0.250 O
0.653 0.347 0.750 P
0.347 0.653 0.250 P
0.000 0.000 0.000 Fe
0.000 0.000 0.500 Fe



FePO4 | the Materials Project database | GGA+U | optimized geometry; SG = P1; ΔE_f = -2.252 eV per atom
1.0
9.942 -0.003 0.018
-0.002 5.885 -0.001
0.009 -0.001 4.845
O P Fe
16 4 4
direct
0.619 0.250 0.774 O
0.122 0.250 0.730 O
0.175 0.453 0.264 O
0.174 0.049 0.263 O
0.382 0.753 0.235 O
0.550 0.749 0.856 O
0.881 0.750 0.273 O
0.829 0.953 0.731 O
0.951 0.251 0.355 O
0.670 0.047 0.232 O
0.445 0.250 0.154 O
0.326 0.544 0.776 O
0.326 0.955 0.774 O
0.670 0.453 0.232 O
0.055 0.753 0.654 O
0.829 0.547 0.732 O
0.594 0.250 0.085 P
0.905 0.750 0.583 P
0.399 0.749 0.918 P
0.101 0.250 0.418 P
0.775 0.250 0.532 Fe
0.219 0.746 0.441 Fe
0.278 0.248 0.956 Fe
0.725 0.750 0.034 Fe



FePO4 | the Materials Project database | GGA+U | optimized geometry; SG = R-3c; ΔE_f = -2.290 eV per atom
1.0
-0.088 6.427 -5.450
-3.557 -1.231 -7.540
-7.369 3.769 -1.582
O Fe P
24 6 6
direct
0.249 0.905 0.062 O
0.393 0.177 0.995 O
0.823 0.005 0.607 O
0.438 0.595 0.251 O
0.995 0.393 0.177 O
0.095 0.938 0.751 O
0.177 0.995 0.393 O
0.005 0.607 0.823 O
0.905 0.062 0.249 O
0.751 0.095 0.938 O
0.062 0.249 0.905 O
0.938 0.751 0.095 O
0.595 0.251 0.438 O
0.107 0.505 0.323 O
0.677 0.893 0.495 O
0.562 0.405 0.749 O
0.495 0.677 0.893 O
0.749 0.562 0.405 O
0.323 0.107 0.505 O
0.505 0.323 0.107 O
0.893 0.495 0.677 O
0.405 0.749 0.562 O
0.607 0.823 0.005 O
0.251 0.438 0.595 O
0.854 0.854 0.854 Fe
0.500 0.500 0.500 Fe
0.000 0.000 0.000 Fe
0.146 0.146 0.146 Fe
0.646 0.646 0.646 Fe
0.354 0.354 0.354 Fe
0.452 0.750 0.048 P
0.048 0.452 0.750 P
0.750 0.048 0.452 P
0.952 0.548 0.250 P
0.548 0.250 0.952 P
0.250 0.952 0.548 P



Fe3P3O13 | the Materials Project database | GGA+U | optimized geometry; SG = P2_1/m; ΔE_f = -2.111 eV per atom
1.0
-3.768 3.746 3.543
0.260 -5.090 5.658
8.367 3.613 5.079
Fe O P
6 26 6
direct
0.500 0.000 0.000 Fe
0.250 0.213 0.439 Fe
0.750 0.362 0.808 Fe
0.250 0.638 0.192 Fe
0.750 0.787 0.561 Fe
0.000 0.000 0.000 Fe
0.946 0.256 0.434 O
0.750 0.654 0.741 O
0.250 0.649 0.385 O
0.750 0.121 0.907 O
0.948 0.795 0.912 O
0.250 0.975 0.407 O
0.250 0.879 0.093 O
0.554 0.256 0.434 O
0.555 0.633 0.214 O
0.945 0.633 0.214 O
0.750 0.916 0.131 O
0.750 0.025 0.593 O
0.250 0.084 0.869 O
0.250 0.346 0.259 O
0.750 0.794 0.372 O
0.446 0.744 0.566 O
0.054 0.744 0.566 O
0.750 0.499 0.956 O
0.750 0.351 0.615 O
0.448 0.205 0.088 O
0.250 0.501 0.044 O
0.445 0.367 0.786 O
0.552 0.795 0.912 O
0.055 0.367 0.786 O
0.250 0.206 0.628 O
0.052 0.205 0.088 O
0.250 0.307 0.116 P
0.750 0.217 0.518 P
0.250 0.257 0.764 P
0.750 0.743 0.236 P
0.250 0.783 0.482 P
0.750 0.693 0.884 P



Fe3P4O16 | the Materials Project database | GGA+U | optimized geometry; SG = P2_1; ΔE_f = -2.095 eV per atom
1.0
-4.300 6.170 1.819
-5.129 -4.617 3.535
5.663 0.411 8.754
O Fe P
32 6 8
direct
0.260 0.394 0.016 O
0.638 0.930 0.456 O
0.579 0.363 0.147 O
0.172 0.554 0.207 O
0.862 0.430 0.294 O
0.357 0.082 0.042 O
0.058 0.123 0.403 O
0.415 0.713 0.116 O
0.683 0.939 0.973 O
0.876 0.814 0.357 O
0.588 0.299 0.896 O
0.624 0.314 0.393 O
0.912 0.799 0.854 O
0.442 0.623 0.347 O
0.089 0.180 0.142 O
0.328 0.054 0.543 O
0.085 0.213 0.634 O
0.767 0.121 0.749 O
0.817 0.439 0.777 O
0.411 0.680 0.608 O
0.745 0.624 0.534 O
0.413 0.655 0.847 O
0.921 0.863 0.603 O
0.755 0.124 0.216 O
0.087 0.155 0.903 O
0.229 0.859 0.279 O
0.143 0.582 0.708 O
0.544 0.335 0.655 O
0.733 0.621 0.001 O
0.956 0.835 0.095 O
0.271 0.359 0.471 O
0.240 0.894 0.734 O
0.007 0.986 0.244 Fe
0.008 0.033 0.751 Fe
0.492 0.533 0.999 Fe
0.907 0.635 0.707 Fe
0.593 0.135 0.043 Fe
0.493 0.486 0.506 Fe
0.303 0.703 0.724 P
0.318 0.693 0.238 P
~~~

### What to do
Print the whole of the material further above without additions.

### Here it is
FePO4 | the Materials Project database | GGA+U | optimized geometry; SG = Cmcm; ΔE_f = -2.308 eV per atom
1.0
-2.637 -3.963 0.000
-2.637 3.963 0.000
0.000 0.000 -6.450
O P Fe
8 2 2
direct
0.240 0.760 0.447 O
0.780 0.706 0.750 O
0.760 0.240 0.553 O
0.240 0.760 0.053 O
0.294 0.220 0.750 O
0.706 0.780 0.250 O
0.760 0.240 0.947 O
0.220 0.294 0.250 O
0.653 0.347 0.750 P
0.347 0.653 0.250 P
0.000 0.000 0.000 Fe
0.000 0.000 0.500 Fe



FePO4 | the Materials Project database | GGA+U | optimized geometry; SG = P1; ΔE_f = -2.252 eV per atom
1.0
9.942 -0.003 0.018
-0.002 5.885 -0.001
0.009 -0.001 4.845
O P Fe
16 4 4
direct
0.619 0.250 0.774 O
0.122 0.250 0.730 O
0.175 0.453 0.264 O
0.174 0.049 0.263 O
0.382 0.753 0.235 O
0.550 0.749 0.856 O
0.881 0.750 0.273 O
0.829 0.953 0.731 O
0.951 0.251 0.355 O
0.670 0.047 0.232 O
0.445 0.250 0.154 O
0.326 0.544 0.776 O
0.326 0.955 0.774 O
0.670 0.453 0.232 O
0.055 0.753 0.654 O
0.829 0.547 0.732 O
0.594 0.250 0.085 P
0.905 0.750 0.583 P
0.399 0.749 0.918 P
0.101 0.250 0.418 P
0.775 0.250 0.532 Fe
0.219 0.746 0.441 Fe
0.278 0.248 0.956 Fe
0.725 0.750 0.034 Fe



FePO4 | the Materials Project database | GGA+U | optimized geometry; SG = R-3c; ΔE_f = -2.290 eV per atom
1.0
-0.088 6.427 -5.450
-3.557 -1.231 -7.540
-7.369 3.769 -1.582
O Fe P
24 6 6
direct
0.249 0.905 0.062 O
0.393 0.177 0.995 O
0.823 0.005 0.607 O
0.438 0.595 0.251 O
0.995 0.393 0.177 O
0.095 0.938 0.751 O
0.177 0.995 0.393 O
0.005 0.607 0.823 O
0.905 0.062 0.249 O
0.751 0.095 0.938 O
0.062 0.249 0.905 O
0.938 0.751 0.095 O
0.595 0.251 0.438 O
0.107 0.505 0.323 O
0.677 0.893 0.495 O
0.562 0.405 0.749 O
0.495 0.677 0.893 O
0.749 0.562 0.405 O
0.323 0.107 0.505 O
0.505 0.323 0.107 O
0.893 0.495 0.677 O
0.405 0.749 0.562 O
0.607 0.823 0.005 O
0.251 0.438 0.595 O
0.854 0.854 0.854 Fe
0.500 0.500 0.500 Fe
0.000 0.000 0.000 Fe
0.146 0.146 0.146 Fe
0.646 0.646 0.646 Fe
0.354 0.354 0.354 Fe
0.452 0.750 0.048 P
0.048 0.452 0.750 P
0.750 0.048 0.452 P
0.952 0.548 0.250 P
0.548 0.250 0.952 P
0.250 0.952 0.548 P



Fe3P3O13 | the Materials Project database | GGA+U | optimized geometry; SG = P2_1/m; ΔE_f = -2.111 eV per atom
1.0
-3.768 3.746 3.543
0.260 -5.090 5.658
8.367 3.613 5.079
Fe O P
6 26 6
direct
0.500 0.000 0.000 Fe
0.250 0.213 0.439 Fe
0.750 0.362 0.808 Fe
0.250 0.638 0.192 Fe
0.750 0.787 0.561 Fe
0.000 0.000 0.000 Fe
0.946 0.256 0.434 O
0.750 0.654 0.741 O
0.250 0.649 0.385 O
0.750 0.121 0.907 O
0.948 0.795 0.912 O
0.250 0.975 0.407 O
0.250 0.879 0.093 O
0.554 0.256 0.434 O
0.555 0.633 0.214 O
0.945 0.633 0.214 O
0.750 0.916 0.131 O
0.750 0.025 0.593 O
0.250 0.084 0.869 O
0.250 0.346 0.259 O
0.750 0.794 0.372 O
0.446 0.744 0.566 O
0.054 0.744 0.566 O
0.750 0.499 0.956 O
0.750 0.351 0.615 O
0.448 0.205 0.088 O
0.250 0.501 0.044 O
0.445 0.367 0.786 O
0.552 0.795 0.912 O
0.055 0.367 0.786 O
0.250 0.206 0.628 O
0.052 0.205 0.088 O
0.250 0.307 0.116 P
0.750 0.217 0.518 P
0.250 0.257 0.764 P
0.750 0.743 0.236 P
0.250 0.783 0.482 P
0.750 0.693 0.884 P



Fe3P4O16 | the Materials Project database | GGA+U | optimized geometry; SG = P2_1; ΔE_f = -2.095 eV per atom
1.0
-4.300 6.170 1.819
-5.129 -4.617 3.535
5.663 0.411 8.754
O Fe P
32 6 8
direct
0.260 0.394 0.016 O
0.638 0.930 0.456 O
0.579 0.363 0.147 O
0.172 0.554 0.207 O
0.862 0.430 0.294 O
0.357 0.082 0.042 O
0.058 0.123 0.403 O
0.415 0.713 0.116 O
0.683 0.939 0.973 O
0.876 0.814 0.357 O
0.588 0.299 0.896 O
0.624 0.314 0.393 O
0.912 0.799 0.854 O
0.442 0.623 0.347 O
0.089 0.180 0.142 O
0.328 0.054 0.543 O
0.085 0.213 0.634 O
0.767 0.121 0.749 O
0.817 0.439 0.777 O
0.411 0.680 0.608 O
0.745 0.624 0.534 O
0.413 0.655 0.847 O
0.921 0.863 0.603 O
0.755 0.124 0.216 O
0.087 0.155 0.903 O
0.229 0.859 0.279 O
0.143 0.582 0.708 O
0.544 0.335 0.655 O
0.733 0.621 0.001 O
0.956 0.835 0.095 O
0.271 0.359 0.471 O
0.240 0.894 0.734 O
0.007 0.986 0.244 Fe
0.008 0.033 0.751 Fe
0.492 0.533 0.999 Fe
0.907 0.635 0.707 Fe
0.593 0.135 0.043 Fe
0.493 0.486 0.506 Fe
0.303 0.703 0.724 P
0.318 0.693 0.238 P